## Exercise
The reader should find "-2.67474 -1.77225" and "-4.35618" in the calculation results further below, and set down these two lines and those between.

## Input
┌──
24
Properties=species:S:1:pos:R:3 method="wB97M-V/def2-TZVPD" total_charge=+1 fmax_ev_per_a=1.916 homo_ev=-12.31 orbital_gap_ev=9.3 e_above_lowest_kj_mol=35.78 mol_weight_g_mol=138.26 total_energy_ev=-19810.9646
H 1.71026 1.80449 -1.41090
H 1.93487 -0.33467 -0.84186
H -1.86502 -1.16383 2.86703
H 0.70885 -1.60966 -2.49344
H 0.31124 1.10921 0.71964
H -0.12681 -1.91946 -1.09808
H 0.40332 3.54389 1.37573
N 0.14035 -1.17394 -1.76636
H -0.70683 -0.75812 -2.14902
C -2.21194 -1.68709 1.97908
H 1.39437 -1.38187 1.20750
C 0.38696 -0.98512 1.30671
O 0.54568 3.05124 0.56509
H 0.06450 1.83628 -1.88582
H -2.82416 -1.10677 1.30274
C 0.94393 1.19506 -1.89166
H 1.27099 0.92442 -2.89654
C 0.90424 -0.07262 -1.04431
H 0.92693 3.66405 -0.07576
H -2.88959 -2.44996 2.36490
H -0.92407 0.24546 0.12752
S -0.73681 -2.36666 1.21268
C 0.16106 0.12163 0.25569
H 0.47770 -0.48595 2.26944

---

159
Properties=species:S:1:pos:R:3 method="wB97M-V/def2-TZVPD" total_charge=0 fmax_ev_per_a=2.522 homo_ev=-9.50 orbital_gap_ev=9.3 mol_weight_g_mol=1382.96 total_energy_ev=-155288.1065
H -3.25110 -0.00448 3.29506
O 0.91237 -8.45114 0.10516
O 0.62251 -1.40703 7.67906
H -3.39760 1.27804 1.26197
H 2.76363 -2.37742 -0.43509
O 3.87326 -3.62288 -3.18870
O -2.05277 -2.68758 0.83565
H 5.85976 2.37144 -0.82970
Si 4.85257 -4.57452 3.83121
H 6.02524 -2.11556 1.82795
H 6.42174 -4.57954 -4.79657
H -4.58110 0.17470 0.54315
C 2.71879 -2.57741 -1.50310
B 3.02922 -4.15279 4.49436
O 7.84997 -4.93193 -3.31327
C -9.26358 4.86430 -3.62606
H 6.93910 -3.88065 0.45803
O -5.64160 2.72181 5.57230
C -7.36177 6.15765 4.32485
C -2.56203 -3.33306 -3.81780
H 2.65395 -2.66500 2.69124
O -0.53999 -7.58490 1.55220
O -3.50743 -1.77998 2.25587
H -4.64099 6.96868 5.64752
H 8.97582 2.87574 -3.37297
H -7.48333 3.58852 5.92251
H -1.65460 -5.61308 -0.11663
C -8.86089 2.67937 -4.02198
O 9.93313 3.79059 -1.75740
C 1.85958 -3.36375 2.66927
O 0.29140 -3.42340 6.80532
C -1.47699 -2.75008 -4.68697
C 8.29890 -3.51875 -5.07026
H -3.08518 -2.57462 -3.23353
C -5.60134 2.35163 4.28364
C 3.04180 3.91167 7.69903
C -2.67474 -1.77225 1.19949
O 1.84497 -4.16646 3.81737
C 0.61097 -2.58131 2.59189
C 5.86400 1.68231 -1.67668
C -7.58182 1.59777 5.05328
H 2.08634 -3.52819 5.97599
O 11.54346 4.96788 -0.77307
H 0.45889 0.39656 6.68686
H -4.97014 2.50145 -2.96665
O -0.16185 3.26849 6.85012
H -5.68228 3.57412 -4.17965
C -4.98633 2.74985 -4.02200
C -5.21429 6.67368 4.77565
C -0.02575 -0.13361 7.49909
H 2.60277 -4.68500 -1.89792
H 0.03936 0.46610 8.40059
H -11.06328 3.92646 -2.83091
O -3.90141 -1.81250 -6.49128
C 10.45507 4.37855 -3.91495
O -6.34130 5.86216 5.15251
H -8.99104 5.43296 -4.51614
H 6.40452 0.78412 -1.39619
H -5.28566 8.25615 3.27862
H 4.41389 0.44355 -2.71671
O 0.29055 -6.32273 -0.08071
O 1.68071 4.33374 7.49881
H -1.69885 -1.74818 -5.01929
C -3.20794 0.58245 -8.76310
C -0.07431 -2.32828 6.99355
H -11.27144 4.63212 -4.44139
H -1.48550 -0.65958 -9.25173
H 8.47504 4.53316 -3.02334
H 3.49339 3.13313 5.71285
C -0.95065 -6.23678 1.84949
O -10.14595 2.87544 -4.35618
H 8.13490 -2.50061 -5.40695
H 8.50211 -4.14926 -5.93784
C 7.16833 -4.04570 -4.21972
C -3.52139 2.69982 -5.74010
O 5.70958 3.59984 -4.45080
H 5.30868 -5.88620 4.33792
O -2.64735 -0.56168 0.60871
O 3.53086 -1.63461 -2.24094
O -4.08617 -0.40993 -8.19789
H -2.06478 -0.66664 8.05263
H 3.73210 4.72779 7.51679
O -1.24198 -1.82916 6.55022
C 3.33460 -3.88956 -1.87182
H -1.25447 -3.36962 -5.55574
C 9.32481 3.85159 -3.06074
O 4.29688 2.45603 -3.16897
C -3.69764 0.24017 1.18068
H -4.57229 6.09737 4.10846
O -1.80689 -4.17248 -2.92310
H -7.05600 2.28904 7.04747
O -0.33490 -2.76457 -3.80328
C -3.41050 -1.06837 -7.25180
O 9.90517 -4.93891 -2.46076
H 7.48326 -3.74051 2.76868
C 9.13619 -4.53298 -3.23265
O -2.63576 2.99343 -6.44370
H -3.37657 1.52800 -8.25693
H -6.15335 8.64133 4.77374
H 3.71344 1.43781 -1.43712
H 4.15568 -4.17922 -1.21159
H 3.15736 3.57259 8.72928
C 0.28662 -7.54630 0.48593
H -7.45474 0.57063 5.39989
O 11.21712 5.14681 -2.96720
O 5.04706 -4.47506 2.14796
└──

## Result
C -2.67474 -1.77225 1.19949
O 1.84497 -4.16646 3.81737
C 0.61097 -2.58131 2.59189
C 5.86400 1.68231 -1.67668
C -7.58182 1.59777 5.05328
H 2.08634 -3.52819 5.97599
O 11.54346 4.96788 -0.77307
H 0.45889 0.39656 6.68686
H -4.97014 2.50145 -2.96665
O -0.16185 3.26849 6.85012
H -5.68228 3.57412 -4.17965
C -4.98633 2.74985 -4.02200
C -5.21429 6.67368 4.77565
C -0.02575 -0.13361 7.49909
H 2.60277 -4.68500 -1.89792
H 0.03936 0.46610 8.40059
H -11.06328 3.92646 -2.83091
O -3.90141 -1.81250 -6.49128
C 10.45507 4.37855 -3.91495
O -6.34130 5.86216 5.15251
H -8.99104 5.43296 -4.51614
H 6.40452 0.78412 -1.39619
H -5.28566 8.25615 3.27862
H 4.41389 0.44355 -2.71671
O 0.29055 -6.32273 -0.08071
O 1.68071 4.33374 7.49881
H -1.69885 -1.74818 -5.01929
C -3.20794 0.58245 -8.76310
C -0.07431 -2.32828 6.99355
H -11.27144 4.63212 -4.44139
H -1.48550 -0.65958 -9.25173
H 8.47504 4.53316 -3.02334
H 3.49339 3.13313 5.71285
C -0.95065 -6.23678 1.84949
O -10.14595 2.87544 -4.35618